Virtualization in general, for technicans and business people.
Unrelated to this piece: records of crystals:
(1)
La2MgNbO6 (PBE, relaxed); size of the total moment = 1.0 μB/f.u.; ΔH_f (0 K) = -3.312 eV/atom; total energy = -8.026 eV per atom; crystal system = cubic
1.0
0.0000 4.0195 4.0195
4.0195 0.0000 4.0195
4.0195 4.0195 0.0000
La Mg Nb O
2 1 1 6
Direct
0.2500 0.2500 0.2500 La
0.7500 0.7500 0.7500 La
0.0000 0.0000 0.0000 Mg
0.5000 0.5000 0.5000 Nb
0.7507 0.2493 0.2493 O
0.2493 0.7507 0.7507 O
0.2493 0.7507 0.2493 O
0.7507 0.2493 0.7507 O
0.2493 0.2493 0.7507 O
0.7507 0.7507 0.2493 O



(2)
LaMg2Ni9 (PBE, relaxed); ΔH_f (0 K) = -0.246 eV/atom; total energy = -5.260 eV per atom; crystal system = trigonal
1.0
-2.8957 7.3112 2.9350
-5.5243 6.2310 -1.0530
-6.5778 4.0959 3.2262
La Mg Ni
1 2 9
Direct
0.0000 0.0000 0.0000 La
0.8551 0.8551 0.8551 Mg
0.1449 0.1449 0.1449 Mg
0.5870 0.0828 0.5870 Ni
0.0828 0.5870 0.5870 Ni
0.5870 0.5870 0.0828 Ni
0.4130 0.9172 0.4130 Ni
0.9172 0.4130 0.4130 Ni
0.3335 0.3335 0.3335 Ni
0.4130 0.4130 0.9172 Ni
0.5000 0.5000 0.5000 Ni
0.6665 0.6665 0.6665 Ni



(3)
LaMgNi2 (PBE, relaxed); size of the total moment = 0.0 μB/f.u.; ΔH_f (0 K) = -0.210 eV/atom; total energy = -4.735 eV per atom; crystal system = orthorhombic
1.0
4.1958 0.0000 0.0000
-2.0979 6.4085 0.0000
0.0000 0.0000 5.6838
La Mg Ni
2 2 4
Direct
0.7203 0.4405 0.2500 La
0.2797 0.5595 0.7500 La
0.4564 0.9129 0.2500 Mg
0.5436 0.0871 0.7500 Mg
0.0902 0.1803 0.0394 Ni
0.9098 0.8197 0.9606 Ni
0.9098 0.8197 0.5394 Ni
0.0902 0.1803 0.4606 Ni

=====

Version one
{
  "formula": "Li2MnOF3",
  "functional": "PBE+U",
  "state": "relaxed",
  "lattice": [[6.0755, 0.0000, 0.0000], [0.0000, 6.0755, 0.0000], [0.0000, 0.0000, 8.2660]],
  "species": ["F", "O", "Li", "Li", "F", "F", "O", "F", "F", "Li", "F", "Mn", "O", "Mn", "Li", "Li", "F", "F", "Li", "Li", "Li", "Mn", "F", "F", "F", "F", "Mn", "O"],
  "fractional_positions": [[0.5001, 0.2551, 0.2437], [0.7793, 0.9670, 0.4824], [0.7429, 0.2359, 0.6189], [0.7328, 0.4838, 0.2546], [0.2551, 0.4999, 0.9937], [0.9973, 0.7235, 0.2640], [0.0330, 0.7793, 0.7324], [0.4731, 0.2378, 0.7552], [0.7449, 0.5001, 0.4937], [0.2359, 0.2571, 0.3689], [0.7622, 0.4731, 0.0052], [0.7450, 0.0042, 0.2562], [0.2207, 0.0330, 0.9824], [0.0042, 0.2550, 0.0062], [0.2571, 0.7641, 0.1189], [0.7641, 0.7429, 0.8689], [0.5269, 0.7622, 0.2552], [0.4999, 0.7449, 0.7437], [0.2672, 0.5162, 0.7546], [0.4838, 0.2672, 0.0046], [0.5162, 0.7328, 0.5046], [0.9958, 0.7450, 0.5062], [0.2765, 0.9973, 0.5140], [0.0027, 0.2765, 0.7640], [0.2378, 0.5269, 0.5052], [0.7235, 0.0027, 0.0140], [0.2550, 0.9958, 0.7562], [0.9670, 0.2207, 0.2324]]
}

***

Version two
{
  "formula": "Li2MnOF3",
  "functional": "PBE+U",
  "state": "relaxed",
  "lattice": [[4.6734, -1.3759, -2.1309], [0.8252, 2.0583, 5.7088], [-4.2120, -9.5010, 2.0726]],
  "species": ["Li", "F", "F", "O", "Li", "Li", "F", "F", "Li", "Mn", "F", "O", "F", "F", "Li", "Li", "F", "O", "F", "Mn", "O", "F", "F", "Li", "F", "Mn", "Li", "Mn"],
Posted on Wed 27 April 2011 in misc
In this article I will explain what is meant by the buzzword Virtualization and how this can improve your IT environment in the VMware/XEN/KVM context.
One thing which Virtualization is not, it's magic. Many consultants are trying to explain it's as a total new technology and big improvement and a must for everybody and everywhere. Of course they try to explain it this way because they want to sell it. The truth is it's a known mechanism back from mainframe times. One real physical machine is providing more than one service to the client. And not only that it's providing more than one service to a client, for the client it looks like this service is provided by an exclusive machine. For example with its own IP address, own mac address, exclusive CPU, memory etc. This makes it for administrators easier to handle different versions of operation systems and patch levels for special software. In many cases you don't want one operation system to provide all your services like ERP/CRM/Mail/FileSharing/Construction Software/etc. because if there is a patch for the operation system and it's applied, one or more products may stop working because of a incompatibility with this patch. On the other hand you need the patch because of security reasons of another product on the same machine. This happens quite often in reality.
A traditional x86 Intel based server room looks something like this diagram in the most cases:
One ore more application servers, a database system, a backup machine, a storage system and hopefully a firewall. This is what many organizations have today and it works. But everybody who has such a configuration knows that if there is a need for a new complexer software in the organization sooner or later someone asks you to buy a new server for that application. No matter that you have 5 of this servers and each of them is just sleeping all day long because it has this ultra fast 4 or 6 core CPU and such a big memory you can save the half world history in it, he tells you to buy a new one because the solution needs it's own machine otherwise you will not have support. Another bad point in this traditional way of IT architecture is the management. Each Server needs it's own management environment, logins, performance monitoring, system monitoring, update and backup solution. This is the point where Virtualization brings you a real benefit with saving energy costs, software licenses and hardware costs.
Let me explain how Virtualization works on a simple diagram:
Data records, as found in the file:
Model w:
This record from the Materials Project describes a relaxed structure of BaLiAl3P2H2O14. The functional is PBE.

Results
**Magnetic moment**: 0.0 μB per cell
**Symmetry**: P1 (1)

Cell lengths 7.1595, 7.1592, 7.6333 Å; angles 61.53, 118.55, 124.97 degrees
Sites, in units of the cell vectors:
P  0.7146  0.2759  0.1210
P  0.2801  0.7124  0.8639
O  0.3200  0.6743  0.4633
O  0.7895  0.9714  0.5839
O  0.0231  0.2047  0.5828
O  0.6877  0.3071  0.5289
O  0.8573  0.1325  0.2061
O  0.5046  0.8588  0.7753
O  0.1359  0.4889  0.7742
O  0.1338  0.8559  0.7573
O  0.8755  0.4970  0.2090
O  0.3484  0.6424  0.0956
O  0.6301  0.3572  0.8849
O  0.4951  0.1166  0.2106
O  0.9767  0.7841  0.3915
O  0.2097  0.0173  0.3929
H  0.3293  0.6663  0.3415
H  0.6757  0.3210  0.6449
Al  0.9932  0.4929  0.4870
Al  0.9961  0.9955  0.4827
Al  0.5011  0.0009  0.4888
Li  0.4562  0.5349  0.7581
Ba  0.0003  0.9959  0.9924

---

Model x:
This record from the Materials Project describes a relaxed structure of BaLiAl3P2H2O14. The functional is PBE.

Results
**Magnetic moment**: 0.0 μB per cell
**Symmetry**: P1 (1)

Cell lengths 7.3508, 7.1781, 7.9334 Å; angles 60.83, 118.31, 126.60 degrees
Sites, in units of the cell vectors:
P  0.2815  0.7276  0.8545
P  0.7331  0.2850  0.1490
Al  0.5194  0.0065  0.5168
Al  0.0149  0.0124  0.4996
Al  0.0110  0.5095  0.4999
H  0.3300  0.6855  0.3648
H  0.7028  0.3369  0.6519
O  0.0336  0.2217  0.5871
O  0.9823  0.7983  0.3984
O  0.9071  0.5144  0.2267
O  0.3236  0.6917  0.4820
O  0.7018  0.3295  0.5311
O  0.8549  0.1210  0.2365
O  0.1430  0.8729  0.7591
O  0.5270  0.1276  0.2525
O  0.3460  0.6591  0.0810
O  0.5099  0.8905  0.7808
O  0.1246  0.5013  0.7748
O  0.8061  0.9782  0.6078
O  0.6325  0.3375  0.9267
O  0.2171  0.0375  0.3983
Li  0.6684  0.8051  0.1839
Ba  0.1239  0.0467  0.9875

---

Relative energies, eV/atom: model w 0.000; model x 0.015.

---

Model w:
This record from the Materials Project describes a relaxed structure of BaLiAl3P2H2O14. The functional is PBE.

Results
**Magnetic moment**: 0.0 μB per cell
**Symmetry**: Cm (8)

Cell lengths 7.2373, 7.2373, 7.9451 Å; angles 61.31, 118.69, 127.02 degrees
Sites, in units of the cell vectors:
O  0.7815  0.9813  0.5847
O  0.6738  0.3257  0.5074
O  0.1035  0.5054  0.7544
O  0.4943  0.8962  0.7543
O  0.1272  0.8725  0.7498
O  0.3183  0.6813  0.4787
O  0.8630  0.1366  0.2289
O  0.6528  0.3467  0.9065
O  0.9684  0.7938  0.3899
O  0.0183  0.2181  0.5847
O  0.4907  0.1098  0.2150
O  0.8897  0.5088  0.2150
O  0.3442  0.6556  0.0607
O  0.2058  0.0311  0.3899
Al  0.9868  0.5039  0.4855
Al  0.9951  0.0045  0.4917
Al  0.4957  0.0128  0.4855
H  0.6655  0.3340  0.6231
H  0.4012  0.5983  0.5974
Ba  0.9589  0.0408  0.9857
P  0.7196  0.2800  0.1292
P  0.2675  0.7323  0.8361
Li  0.2761  0.7233  0.2075

---

Model x:
This record from the Materials Project describes a relaxed structure of BaLiAl3P2H2O14. The functional is PBE.

Results
**Magnetic moment**: 0.0 μB per cell
**Symmetry**: Cm (8)
This diagram shows you that on top of the hardware there works a peace of software here called Virtualization layer which simulates each of the virtual machines that it has it's own hardware. The system installed in this virtual machine don't need to know that it's not installed on a real hardware alone. This is why nearly all software can be virtualized this way. You see if you can consolidate only 2 servers you can save nearly the half of energy and definitely the half of space in your server rack. With the CPUs we have today you can virtualize up to 10 - 12 old servers to one new big machine with for example 2 x 6 core CPUs and a lot of memory. In this case you see what potential this technology has. Turn off 10 servers and run it on just one machine. That's not the way I would do Virtualization. It's nice to save energy but what happens if we have a problem with our one new big server? The complete organization can not work without ERP, EMail etc. and because of this we need a cluster.
Unrelated to this page: crystal structures:
____________
A geometry-optimized NaMg30TiO32 structure. Source: the Materials Project database, functional PBE.

## Properties
The calculation puts the energy with MP2020 corrections at -6.388 eV/atom. Its crystal system is tetragonal. As for the total energy: -6.04 eV per atom. The calculation puts the energy relative to the lowest polymorph listed for this composition at 0 meV per atom. The value obtained for the total magnetization is 1.0 μB/f.u. For the formation energy, the calculation gives -3.020 eV/atom.

Cell lengths 8.5509, 8.5509, 8.5277 Å; angles 90.00, 90.00, 90.00 degrees
Last column: nearest neighbours and their distance in Å.
Space group P4/mmm (No. 123)
One atom of each set of equivalent atoms:
1 Na 0.0000 0.0000 0.0000 [1 per cell]  6 O 2.24-2.29
2 Mg 0.0000 0.2531 0.2460 [8 per cell]  6 O 2.10-2.17
3 Mg 0.0000 0.5000 0.0000 [2 per cell]  6 O 2.03-2.16
4 Mg 0.0000 0.5000 0.5000 [2 per cell]  6 O 2.10-2.14
5 Mg 0.2491 0.2491 0.0000 [4 per cell]  6 O 2.13-2.15
6 Mg 0.2502 0.5000 0.2490 [8 per cell]  6 O 2.12-2.15
7 Mg 0.2511 0.2511 0.5000 [4 per cell]  6 O 2.13-2.15
8 Mg 0.5000 0.5000 0.0000 [1 per cell]  6 O 2.12-2.14
9 Mg 0.5000 0.5000 0.5000 [1 per cell]  6 O 2.12-2.14
10 Ti 0.0000 0.0000 0.5000 [1 per cell]  6 O 1.97-2.14
11 O 0.0000 0.0000 0.2688 [2 per cell]  1 Ti 1.97, 4 Mg 2.17
12 O 0.0000 0.2503 0.5000 [4 per cell]  5 Mg 2.14-2.17, 1 Ti 2.14
13 O 0.0000 0.2624 0.0000 [4 per cell]  5 Mg 2.03-2.13, 1 Na 2.24
14 O 0.0000 0.5000 0.2532 [4 per cell]  6 Mg 2.10-2.16
15 O 0.2491 0.2491 0.2505 [8 per cell]  6 Mg 2.13-2.15
16 O 0.2500 0.5000 0.5000 [4 per cell]  6 Mg 2.13-2.14
17 O 0.2519 0.5000 0.0000 [4 per cell]  6 Mg 2.12-2.15
18 O 0.5000 0.5000 0.2511 [2 per cell]  6 Mg 2.12-2.14



A geometry-optimized BaHg6 structure. Source: the Materials Project database, functional PBE.

## Properties
Its crystal system is orthorhombic. As for the total energy: -0.81 eV per atom. For the formation energy, the calculation gives -0.278 eV/atom.

Cell lengths 13.9823, 5.6408, 10.5057 Å; angles 90.00, 90.00, 90.00 degrees
Last column: nearest neighbours and their distance in Å.
Space group Pnma (No. 62)
One atom of each set of equivalent atoms:
1 Ba 0.1815 0.2500 0.1444 [4 per cell]  16 Hg 3.63-3.96
2 Hg 0.0038 0.7500 0.1121 [4 per cell]  3 Hg 2.97-2.99
3 Hg 0.0410 0.7500 0.6500 [4 per cell]  3 Hg 3.02-3.13
4 Hg 0.0966 0.7500 0.3688 [4 per cell]  5 Hg 2.99-3.26
5 Hg 0.1451 0.7500 0.9016 [4 per cell]  5 Hg 2.97-3.14
6 Hg 0.1478 0.2500 0.5097 [4 per cell]  5 Hg 3.00-3.26
7 Hg 0.1955 0.2500 0.7876 [4 per cell]  5 Hg 2.98-3.14



A geometry-optimized La6CdSi2S14 structure. Source: the Materials Project database, functional PBE.

## Properties
The calculation puts the energy with MP2020 corrections at -6.323 eV/atom. Its crystal system is trigonal. As for the total energy: -6.02 eV per atom. The value obtained for the total magnetization is 0.0 μB/f.u. For the formation energy, the calculation gives -2.006 eV/atom.
____________
Such a cluster configuration looks something like this:
Two big servers, a storage subsystem and a smaller management server. If you compare now the old configuration with the new one you can see there will be still made some points for energy efficiency. That's not the only benefit you should have in focus, for the mature Virtualization solutions like VMware or Citrix/XEN exist a big number of tools and documentation to make the life easier for administrators and system managers. This safes time and brings better reaction times for your IT. In the old network configuration it took days and weeks to setup a new server, in the virtual environment this task takes a few minutes if still enough resources are available. All of the proven solutions on the marked bring well tested cluster functionality and mechanism to improve the availability of your servers and services. This helps you to focus better on your business and delivers a better IT service within your organization. If one of your servers needs to go in maintenance you don't need to shutdown the services, with live migration technologies you can make the selected server free and move all the work to the working server and you don't need to stop your production for example. This is where the Virtualization hits the business people, it is not a new cost factor of the IT, it helps you to consolidate and improve the infrastructure of your company or organization and you can realize it within a normal replacement cycle of your hardware and in most cases you will save a lot of energy costs.